There is reportedly an unprecedented level of concern brewing among Trump administration alums as the countdown clock to the upcoming presidential election continues to tick away. Multiple reports have confirmed that quite a few of the politicians that worked closely with the former U.S. President during his time in the Oval Office now oppose his potential reelection. 

Former Deputy Press Secretary Resigned After January 6, 2021 Attack

Former Deputy Press Secretary Sarah Matthews resigned from her position in the aftermath of the January 6, 2021 mob attack on the U.S. Capitol. She was working in the White House as the mob of Trump supporters tried to stop President Joe Biden’s victory from being certified.

Source: Wikimedia/Martin Falbisoner

She reportedly noted exactly how the staff tried to get Donald Trump to condemn the violence. However, even after they spent hours doing so, their attempts were not successful.

Sarah Matthews: ‘It Was A Complete Dereliction Of Duty’, ‘I Lost All Faith In Him’

Matthews opened up about the experience during an interview with USA Today. She stated that “it was a complete dereliction of duty that he did not uphold his oath of office.”

Source: Wikimedia/House Creative Services

She added that she “lost all faith in him that day.” Matthews views Donald Trump as a threat to democracy after he allegedly tried to steal the 2020 election. According to USA Today, she reportedly feels that he would do it again.

Former Trump Defense Secretary: ‘I’m Definitely Not Voting For’ Trump

Former Defense Secretary Mark Esper made his opposition of Trump’s reelection clear during an interview with Bill Maher on his show, Real Time with Bill Maher. He mentioned that “I’m definitely not voting” for Donald Trump.

Source: Wikimedia/Lisa Ferdinando, DOD

Regarding whether he would vote for President Biden, Esper claimed simply that “I’m not there yet.”

Mark Esper Criticized Trump For Mishandling Of Classified Information

Mark Esper previously criticized Donald Trump for the mishandling of classified information after his presidential term concluded. He stated that “people have described him as a hoarder when it comes to these types of documents.”

Source: Pixabay/Gino Crescoli

However, Esper made his stand clear when he stated that it was “unauthorized, illegal, and dangerous.” He further explained that “it’s just irresponsible action that places our service members at risk, places our nation’s security at risk.”

### These calculated crystals were left in the text by mistake
........
Version P
The following is a PBE calculation of crystalline ScIn2Br at its relaxed geometry, from Alexandria via LeMat-Bulk.

Properties
For the density of states at the Fermi level, the calculation gives 8.2 states/eV per cell. The value obtained for the total moment is 0.000 μB/atom. As for the space-group type: I-42d, No. 122. As for the calculated volume: 31.01 Å³/atom.

```
ScIn2Br
1.0
9.675 0.000 0.000
0.000 9.675 0.000
0.000 0.000 5.300
Sc In Br
4 8 4
Cartesian
0.000 0.000 0.000
0.000 4.838 1.325
4.838 0.000 3.975
4.838 4.838 2.650
1.783 2.419 0.663
2.419 6.621 1.988
2.419 7.892 4.638
3.054 2.419 3.313
6.621 7.256 3.313
7.256 1.783 4.638
7.256 3.054 1.988
7.892 7.256 0.663
0.000 0.000 2.650
0.000 4.838 3.975
4.838 0.000 1.325
4.838 4.838 0.000
```

***

Version Q
The following is a PBE calculation of crystalline ScIn2Br at its relaxed geometry, from Alexandria via LeMat-Bulk.

Properties
For the density of states at the Fermi level, the calculation gives 2.6 states/eV per cell. The value obtained for the total moment is 0.043 μB/atom. As for the space-group type: P4/mmm, No. 123. As for the calculated volume: 25.59 Å³/atom.

```
ScIn2Br
1.0
3.547 0.000 0.000
0.000 3.547 0.000
0.000 0.000 8.136
Sc In Br
1 2 1
Cartesian
0.000 0.000 0.000
1.773 1.773 1.823
1.773 1.773 6.313
0.000 0.000 4.068
```

***

Version R
The following is a PBE calculation of crystalline ScIn2Br at its relaxed geometry, from Alexandria via LeMat-Bulk.

Properties
For the density of states at the Fermi level, the calculation gives 3.8 states/eV per cell. The value obtained for the total moment is 0.000 μB/atom. As for the space-group type: I-4m2, No. 119. As for the calculated volume: 24.83 Å³/atom.

```
ScIn2Br
1.0
4.781 0.000 0.000
0.000 4.781 0.000
0.000 0.000 8.692
Sc In Br
2 4 2
Cartesian
0.000 0.000 0.000
2.390 2.390 4.346
0.000 0.000 4.346
0.000 2.390 2.173
2.390 0.000 6.519
2.390 2.390 0.000
0.000 2.390 6.519
2.390 0.000 2.173
```

***

Version S
The following is a PBE calculation of crystalline ScIn2Br at its relaxed geometry, from Alexandria via LeMat-Bulk.

Properties
For the density of states at the Fermi level, the calculation gives 4.2 states/eV per cell. The value obtained for the total moment is 0.000 μB/atom. As for the space-group type: Imm2, No. 44. As for the calculated volume: 26.15 Å³/atom.

```
ScIn2Br
1.0
3.342 0.000 0.000
0.000 5.722 0.000
0.000 0.000 10.937
Sc In Br
2 4 2
Cartesian
0.000 0.000 0.000
1.671 2.861 5.468
0.000 0.000 5.592
0.000 2.861 8.089
1.671 0.000 2.620
1.671 2.861 0.124
0.000 2.861 3.379
1.671 0.000 8.848
```

***

So which one is most stable? That would be version S, about 0.217 eV/atom below the next structure.

***

Version P
The following is a PBE calculation of crystalline ScIn2Br at its relaxed geometry, from Alexandria via LeMat-Bulk.

Properties
........

Mike Pence ‘Cannot In Good Conscience’ Support Trump’s Reelection

Misplaced materials data
=====
Entry 1:
DFT (PBE-GGA) results for an optimized crystal structure of Sb2AsRh8.

a b c (Å): 7.1159 7.1159 7.1159
angles (deg): 145.85 118.62 72.14
Closest atoms and distances in Å follow each position.
Fractional coordinates of all 11 atoms:
Sb (0.1892, 0.1892, 0.0000)  10 Rh 2.60-2.91
Sb (0.8108, 0.8108, 0.0000)  10 Rh 2.60-2.91
As (0.5000, 0.5000, 0.0000)  8 Rh 2.60
Rh (0.0834, 0.3461, 0.7373)  1 As 2.60, 3 Sb 2.63-2.74, 4 Rh 2.76-2.84
Rh (0.1953, 0.0000, 0.1953)  2 Sb 2.60, 7 Rh 2.71-2.84
Rh (0.3647, 0.8647, 0.5000)  2 As 2.60, 6 Rh 2.71-2.84, 2 Sb 2.91
Rh (0.3911, 0.6539, 0.7373)  1 As 2.60, 3 Sb 2.63-2.74, 4 Rh 2.76-2.84
Rh (0.6089, 0.3461, 0.2627)  1 As 2.60, 3 Sb 2.63-2.74, 4 Rh 2.76-2.84
Rh (0.6353, 0.1353, 0.5000)  2 As 2.60, 6 Rh 2.71-2.84, 2 Sb 2.91
Rh (0.8047, 0.0000, 0.8047)  2 Sb 2.60, 7 Rh 2.71-2.84
Rh (0.9166, 0.6539, 0.2627)  1 As 2.60, 3 Sb 2.63-2.74, 4 Rh 2.76-2.84

Summary:
crystal system: orthorhombic
E_tot: -6.6992 eV/atom
space group: Immm

Entry 2:
DFT (PBE-GGA) results for an optimized crystal structure of La3Pr8Cd.

a b c (Å): 8.5453 8.5453 8.5453
angles (deg): 117.86 117.86 93.74
Closest atoms and distances in Å follow each position.
Fractional coordinates of all 12 atoms:
La (0.0000, 0.0000, 0.0000)  8 Pr 3.13-3.32
La (0.2500, 0.7500, 0.5000)  4 Pr 3.48
La (0.7500, 0.2500, 0.5000)  4 Pr 3.48
Pr (0.1256, 0.1256, 0.7494)  3 Pr 3.13-3.35, 1 Cd 3.30, 3 La 3.32-3.48
Pr (0.2482, 0.2482, 0.5021)  1 Cd 3.11, 1 La 3.13, 2 Pr 3.26-3.35
Pr (0.2539, 0.7518, 0.0000)  1 Cd 3.11, 1 La 3.13, 2 Pr 3.26-3.35
Pr (0.3763, 0.3763, 0.2506)  3 Pr 3.13-3.35, 1 Cd 3.30, 3 La 3.32-3.48
Pr (0.6237, 0.8744, 0.0000)  3 Pr 3.13-3.35, 1 Cd 3.30, 3 La 3.32-3.48
Pr (0.7461, 0.7461, 0.4979)  1 Cd 3.11, 1 La 3.13, 2 Pr 3.26-3.35
Pr (0.7518, 0.2539, 0.0000)  1 Cd 3.11, 1 La 3.13, 2 Pr 3.26-3.35
Pr (0.8744, 0.6237, 0.0000)  3 Pr 3.13-3.35, 1 Cd 3.30, 3 La 3.32-3.48
Cd (0.5000, 0.5000, 0.0000)  8 Pr 3.11-3.30

Summary:
ΔE_f: 38.7 kJ/mol of atoms
crystal system: tetragonal
space group: I-42m

Entry 3:
DFT (PBE-GGA) results for an optimized crystal structure of U2PaAl.

a b c (Å): 4.2915 4.2915 4.5805
angles (deg): 90.00 90.00 90.00
Closest atoms and distances in Å follow each position.
Fractional coordinates of all 4 atoms:
U (0.0000, 0.5000, 0.0000)  4 U 3.03, 4 Al 3.14, 4 Pa 3.14
U (0.5000, 0.0000, 0.0000)  4 U 3.03, 4 Al 3.14, 4 Pa 3.14
Pa (0.0000, 0.0000, 0.5000)  4 Al 3.03, 8 U 3.14
Al (0.5000, 0.5000, 0.5000)  4 Pa 3.03, 8 U 3.14

Summary:
ΔE_f: 2.8 kJ/mol of atoms
crystal system: tetragonal
energy relative to the lowest polymorph listed for this composition: 0 meV/atom
space group: P4/mmm

Entry 4:
DFT (PBE-GGA) results for an optimized crystal structure of Zr2Cd2In.

a b c (Å): 7.9774 7.9774 3.5459
angles (deg): 90.00 90.00 90.00
Closest atoms and distances in Å follow each position.
Fractional coordinates of all 10 atoms:
Zr (0.1752, 0.3248, 0.0000)  6 Cd 2.88-3.00
Zr (0.3248, 0.8248, 0.0000)  6 Cd 2.88-3.00
=====

Mike Pence opened up about Donald Trump and the possibility of his reelection in an interview with Fox News. The former Vice President stated that he “cannot in good conscience” support Trump since they have “profound differences” regarding their views on multiple issues.

Source: Wikimedia/Gage Skidmore

Fox News host Martha MacCallum asked him about his voting plans for the upcoming election during the interview. Pence responded by stating “it should come as no surprise that I will not be endorsing Donald Trump this year.”

Mike Pence Is Still ‘Incredibly Proud Of The Record Of Our Administration’

Even though Mike Pence claims he will not support Trump this time around, he is still happy about the work accomplished during their time together in the past. Pence was quoted as saying, “I’m incredibly proud of the record of our administration.”

Source: Wikimedia/Office of the President of the United States

He added that “it was a conservative record that made America more prosperous” and “more secure.” He further expressed that the administration “saw conservatives appointed to our courts in a more peaceful world.”

Mike Pence Opposing Trump Does Not Mean He Supports Biden

When asked if he would vote for President Biden, Pence did not hesitate to shoot down the idea. He stated, “I would never vote for Joe Biden.”

Source: Wikimedia/Michael Stokes

Pence further explained that “how I vote when that curtain closes, that will be for me.” He reportedly dismissed the idea of running as a third-party candidate himself or supporting any other third-party candidate.

John Bolton: ‘If His First Four Years Were Bad, A Second Four Will Be Worse’

Former National Security Advisor of the U.S. John Bolton served during the Trump Administration. In his book titled “The Room Where It Happened: A White House Memoir,” Bolton wrote that, “if his first four years were bad, a second four will be worse.”

Source: Wikimedia/Gage Skidmore

In a new foreword, Bolton expressed that “facts are blunt instruments.” According to Bolton, “a mountain of facts demonstrates that Trump is unfit to be President.”

Bolton Predicts Second Trump Term Would Be ‘Retribution Presidency’

John Bolton further predicted that a second presidential term for Donald Trump would essentially be a “Retribution Presidency.” Bolton believes that Trump would want “White House staffers to follow his orders without asking troubling questions.”

Source: Wikimedia/Matt H. Wade

~~~
1.
MgSbPd2 (GGA-PBE, optimized geometry); energy relative to the lowest polymorph listed for this composition = 0.026 eV/atom; total DFT energy (no corrections) = -4.593 eV/atom; space group = P6_3/mmc (194)
1.0
-2.343 2.480 -2.963
-0.897 0.314 4.418
5.546 6.070 0.694
Mg Pd Sb
2 4 2
direct
0.000 0.000 0.000 Mg
0.000 0.000 0.500 Mg
0.667 0.333 0.084 Pd
0.667 0.333 0.416 Pd
0.333 0.667 0.584 Pd
0.333 0.667 0.916 Pd
0.333 0.667 0.250 Sb
0.667 0.333 0.750 Sb



2.
MgSbPd2 (GGA-PBE, optimized geometry); energy relative to the lowest polymorph listed for this composition = 0.044 eV/atom; total DFT energy (no corrections) = -4.575 eV/atom; space group = P6_3/mmc (194)
1.0
-0.231 4.112 1.820
-3.298 -1.457 -2.698
-4.072 -3.195 6.703
Mg Pd Sb
2 4 2
direct
0.333 0.667 0.250 Mg
0.667 0.333 0.750 Mg
0.667 0.333 0.084 Pd
0.667 0.333 0.416 Pd
0.333 0.667 0.584 Pd
0.333 0.667 0.916 Pd
0.000 0.000 0.000 Sb
0.000 0.000 0.500 Sb



3.
MgSbPd2 (GGA-PBE, optimized geometry); energy relative to the lowest polymorph listed for this composition = 0.081 eV/atom; total DFT energy (no corrections) = -4.538 eV/atom; space group = P4/mmm (123)
1.0
-2.802 1.414 -1.174
-1.633 -2.898 0.408
-1.591 1.724 5.872
Mg Pd Sb
1 2 1
direct
0.000 0.000 0.500 Mg
0.500 0.500 0.260 Pd
0.500 0.500 0.740 Pd
0.000 0.000 0.000 Sb



4.
Mg2Sb2Pd3 (GGA-PBE, optimized geometry); total DFT energy (no corrections) = -4.451 eV/atom; space group = R3m (160)
1.0
2.281 1.317 7.394
-2.281 1.317 7.394
0.000 -2.634 7.394
Mg Pd Sb
2 3 2
direct
0.246 0.246 0.246 Mg
0.756 0.756 0.756 Mg
0.124 0.124 0.124 Pd
0.374 0.374 0.374 Pd
0.626 0.626 0.626 Pd
0.502 0.502 0.502 Sb
0.997 0.997 0.997 Sb



5.
MgSbPd2 (GGA-PBE, optimized geometry); energy relative to the lowest polymorph listed for this composition = 0.300 eV/atom; total DFT energy (no corrections) = -4.319 eV/atom; space group = P6_3/mmc (194)
1.0
2.366 -4.098 0.000
2.366 4.098 0.000
0.000 0.000 7.917
Mg Pd Sb
2 4 2
direct
0.000 0.000 0.250 Mg
0.000 0.000 0.750 Mg
0.333 0.667 0.080 Pd
0.333 0.667 0.420 Pd
0.667 0.333 0.580 Pd
0.667 0.333 0.920 Pd
0.667 0.333 0.250 Sb
0.333 0.667 0.750 Sb



6.
Mg2SbPd (GGA-PBE, optimized geometry); total DFT energy (no corrections) = -3.361 eV/atom; space group = F-43m (216)
1.0
0.652 -3.854 2.828
-3.253 -3.562 0.011
1.093 -4.272 -1.958
Mg Pd Sb
2 1 1
direct
0.000 0.000 0.000 Mg
0.750 0.750 0.750 Mg
0.250 0.250 0.250 Pd
0.500 0.500 0.500 Sb



7.
MgSbPd2 (GGA-PBE, optimized geometry); energy relative to the lowest polymorph listed for this composition = 0.000 eV/atom; total DFT energy (no corrections) = -4.619 eV/atom; space group = R-3m (166)
1.0
4.610 0.000 0.000
-2.305 3.993 0.000
0.000 0.000 11.338
Mg Pd Sb
3 6 3
direct
0.333 0.667 0.167 Mg
0.000 0.000 0.500 Mg
0.667 0.333 0.833 Mg
0.667 0.333 0.084 Pd
~~~
So much for the data records:

He added that the staffers would “not be known for independent, creative thinking.” On the contrary, they would be known for “just personal fidelity to Trump.”

Former White House Aide: ‘A Vote For Trump Is A Vote For Fascism’

Former White House aide Cassidy Hutchinson stated that “a vote for Trump is a vote for fascism.” She added that “it’s a vote to start marching our country towards a dictatorship.”

Source: Flickr/University of Chicago Institute of Politics

Referring to constitutional republic and democratic institutions, Hutchinson highlighted the need to be able to have conversations “to make sure that every vote goes to the candidate that promises to keep those institutions intact.” She previously stated that she would “do whatever it takes to make sure that Donald Trump is never near the Oval Office ever again.”

Hutchinson Calls On Press, Media Outlets To Avoid ‘Amplifying Rhetoric’ Of Election

Hutchinson knew that the possibility of another Joe Biden and Donald Trump ticket was high for this year’s upcoming election. As a result, she called on media outlets and press to responsibly handle the election coverage.

Source: Pixabay/Tumisu

She encouraged them to not focus on “amplifying rhetoric rather than reporting facts.” She added that the press “really needs to pay attention and be conscious about that” since “we saw what happened in 2016.”

Nikki Haley: Trump ‘Has No Business Being Commander In Chief’

Long before she ran against him for the Republican Party nomination, Nikki Haley served as Donald Trump’s United Nations ambassador. After dropping out of the presidential race, Haley made headlines when she decided to withhold her endorsement.

Source: Wikimedia/South Carolina Governor Nikki R. Haley

Haley stated that “someone who continually disrespects the sacrifices of military families has no business being Commander in Chief.” The comment was made after Trump mocked Nikki’s husband who was overseas on a military deployment.

At Least 16 Trump Officials Have Spoken Out Against Trump

A political scientist and three presidential historians were interviewed by USA Today to discuss the severity of the criticism emerging from former Trump officials. It was confirmed that the sheer number of people (a minimum of 16) that have spoken out against the former U.S. President is very unusual.

Source: Pixabay/Gunter

Those interviewed claimed that this has no historical precedent within the last century. Lindsay Chervinsky, a senior fellow from Southern Methodist University’s Center for Presidential History, expressed that, “I don’t think we’ve seen anything like this, certainly not in the last 100 years.”

There Are Still Plenty Of Former Officials In Support Of Donald Trump

There is still a considerable number of former Trump administration officials that are in support of Donald Trump. For instance, former Trump Ambassador to Germany Richard Grenell and Commerce Secretary Wilbur Ross have expressed their support.

Source: Pixabay/WokandaPix

Trump spokeswoman Karoline Leavitt highlighted the support in a statement released to USA Today. She stated that “there were dozens of Cabinet Members, hundreds of White House employees, and thousands of political appointees who proudly served in the Trump Administration.” According to Leavitt, they “continue to strongly support President Trump.”